The presence of 'ndrangheta in the province of Reggio Calabria
The province of Reggio Calabria is one of the areas most affected by the presence of 'ndrangheta, a criminal phenomenon that originated in the 19th century. In 2006, there were more than ten active locales in the area with a total of 7,358 alleged affiliates. It is the area with the highest pervasiveness of the criminal phenomenon, as well as the area of residence of the historical 'ndrine.
+++
Record 1
Below is a gas-phase ion, C4H13N2O (charge +1) in a non-equilibrium geometry, with properties calculated with ωB97M-V with the def2-TZVPD basis set.

The geometry in XYZ format:
```
20
C4H13N2O (ωB97M-V with the def2-TZVPD basis set)
N -1.80116 -0.91869 -1.29297
C -1.93291 0.00745 -0.13571
C -0.75122 -0.24240 0.77773
C 0.50821 0.44713 0.28995
N 0.80337 0.22146 -1.16979
C 1.69576 0.03930 1.13318
O 2.78275 0.84668 0.73315
H -2.11674 -1.83633 -1.06417
H -2.44629 -0.62580 -2.02415
H -2.90542 0.03347 0.35224
H -1.80304 1.00162 -0.59364
H -0.55084 -1.30069 0.80258
H -1.03811 0.08869 1.76847
H 0.41868 1.52046 0.39093
H -0.01717 -0.45031 -1.50641
H 1.74823 -0.11795 -1.26663
H 0.72063 1.05324 -1.73777
H 1.94732 -0.99115 0.87248
H 1.41620 0.17724 2.17486
H 3.32176 1.04659 1.49566
```

Charge: +1
E_HOMO in eV: -14.45
Energy in eV: -9380.205
Energy above the lowest of the compared OMol25 structures with the same formula, charge and spin in kJ/mol: 133.0

***

Record 2
Below is 2 unconnected molecules or ions with the total composition C4H13N2O in a non-equilibrium geometry, with properties calculated with ωB97M-V with the def2-TZVPD basis set.

The geometry in XYZ format:
```
20
C4H13N2O (ωB97M-V with the def2-TZVPD basis set)
C 1.50895 -3.09357 -2.23274
C -0.87767 2.79020 0.98506
C 0.79702 -2.36081 -1.18285
C -0.29028 1.40477 0.76298
N -0.11643 0.58242 1.86110
N -1.27327 0.54143 -0.18823
O 0.50621 -1.17152 -1.04676
H 1.15993 -2.83514 -3.29719
H 1.37319 -4.27935 -2.15350
H 2.51443 -2.79647 -2.14411
H -1.73855 2.85898 1.58229
H -1.02694 3.24101 0.10382
H -0.08109 3.29643 1.58142
H 0.45752 -3.03685 -0.38674
H 0.57019 -0.25902 1.87350
H -0.59244 1.02114 2.64749
H -0.69941 -0.22641 -0.53096
H -1.58188 1.00874 -1.10482
H -2.15339 0.21460 0.39971
H 0.63929 1.50658 0.14387
```

Charge: +1
E_HOMO in eV: -13.88
Energy in eV: -9379.102
Energy above the lowest of the compared OMol25 structures with the same formula, charge and spin in kJ/mol: 239.4

***

Record 3
Below is a gas-phase ion, C4H13N2O (charge +1) in a non-equilibrium geometry, with properties calculated with ωB97M-V with the def2-TZVPD basis set.

The geometry in XYZ format:
```
20
C4H13N2O (ωB97M-V with the def2-TZVPD basis set)
C -1.63549 0.72957 0.07898
N -0.64525 -0.35118 0.29301
C -1.09847 -1.67894 -0.31465
C 0.86574 0.08262 -0.08357
C 1.45117 1.05075 0.87223
N 0.98441 0.35006 -1.41265
O 1.52342 -1.34588 0.73304
H -2.38723 0.62977 0.87950
H -1.30428 1.70583 0.29034
H -2.09817 0.77146 -0.85914
H -0.53921 -0.67288 1.24577
H -1.43702 -1.32631 -1.31373
H -0.28614 -2.46824 -0.44702
H -2.03284 -1.90402 0.11461
H 1.10401 2.05485 0.61067
H 2.55040 1.16186 0.78981
H 1.16739 0.63807 1.89642
H 0.38941 0.18297 -2.15977
H 1.70880 0.98885 -1.66828
H 2.43569 -1.23109 0.59895
```

Charge: +1
E_HOMO in eV: -14.52
Energy in eV: -9378.043
Energy above the lowest of the compared OMol25 structures with the same formula, charge and spin in kJ/mol: 341.6

***

Record 4
+++
The division of the territory
Starting from 2010, the "Crimine" operation has shown that the province of Reggio Calabria is divided into three areas: Jonico Mandamento, Tirrenico Mandamento, and Città ('ndrangheta). The decision-making body of the criminal organization, the "Crimine ('ndrangheta)" or "Crimine di Polsi," is also present in the area. The areas also differ in the way the 'ndrine operate. Those of Tirrenico Mandamento use control of the territory in a relatively economically rich area compared to the others. Those in the Mar Ionio area, on the other hand, which is poorer and predominantly mountainous, have invested in international drug trafficking after initially exploiting kidnappings. Despite this, the cosche of Mar Tirreno, thanks to the Port of Gioia Tauro, are also organized for illicit substance trafficking, while those in the Mar Ionio area exert pressure on existing commercial activities. Finally, the area of the city of Reggio Calabria is further divided into three areas: north with 'Ndrina Condello-'Ndrina Imerti, center with the 'Ndrina De Stefano-'Ndrina Libri, and south with 'Ndrina Latella and 'Ndrina Labate, as well as minor 'ndrine.
The structure of the 'ndrine
'Ndrangheta in the province of Reggio Calabria is divided into locales ('ndrangheta) attributable to three superstructures: Jonico Mandamento, Tirrenico Mandamento, and Città ('ndrangheta). During Operation "Saggezza," in November 2012, the presence of a new structure, "La Corona", comprising the 5 Aspromonte locals in the municipalities of Antonimina, Ardore, Canolo, Ciminà, and Cirella di Platì emerged. The head of La Corona is Vincenzo Melia, with Luigi Varacalli, Nicola Romano, and Nicola Nesci as councilors. This new structure appears to have arisen to settle disputes within the small locales, as well as to grant favors and compete economically on a par with other 'ndrine.
The organization of the Crimine
- - -
# 1
Computed, not measured: a molecular structure, C7H6KO6 at a distorted geometry, with ωB97M-V/def2-TZVPD.

Summary:
Orbital gap   3.761 eV
Total charge   -1

The geometry in XYZ format:
```
20
Properties=species:S:1:pos:R:3:mulliken_charge:R:1
O 3.7062 -1.4928 1.8551 -0.744
C 2.5025 -1.8418 1.6049 -0.213
C 1.8597 -1.8686 0.3875 -0.268
C 0.4461 -2.2511 0.2675 -0.496
C -0.2974 -2.1814 -0.8139 0.629
O -1.1114 -2.2831 -1.6809 -0.650
H 1.8501 -2.1014 2.4766 0.207
H 2.3574 -1.4598 -0.4971 0.365
H -0.1291 -2.5030 1.1693 0.216
C -0.0055 1.3942 -1.0565 0.229
C -0.5830 2.6796 -0.5147 -0.226
O -1.1699 2.5157 0.7546 -0.352
C -2.0451 1.4454 0.9019 0.547
O -1.8777 0.8573 1.9822 -0.647
O -2.4704 0.9219 -0.1535 -0.726
O -0.1043 1.1188 -2.2392 -0.679
H -1.3149 3.0888 -1.2278 0.201
H 0.2527 3.3845 -0.3916 0.270
K -2.4388 -0.0692 -2.4289 1.035
H 0.5728 0.6460 -0.3956 0.303
```

# 2
Computed, not measured: 2 unconnected molecules or ions with the total composition C9H14O at a distorted geometry, with ωB97M-V/def2-TZVPD.

Summary:
Orbital gap   9.241 eV
SMILES   Cc1ccc(O)cc1.CC
Energy above the lowest of the compared OMol25 structures with the same formula, charge and spin   14.2 kcal/mol

The geometry in XYZ format:
```
24
Properties=species:S:1:pos:R:3:mulliken_charge:R:1
C -1.9974 -1.7484 -1.0600 -1.399
C -1.7481 -0.6356 -0.0801 0.007
C -2.8232 0.0880 0.4209 -0.421
C -2.6374 1.1535 1.2957 -0.605
C -1.3496 1.4166 1.7682 0.853
O -1.2768 2.4175 2.7055 -0.542
C -0.3073 0.5920 1.4136 -0.632
C -0.4876 -0.3959 0.4457 -0.162
H -1.0504 -2.1133 -1.4745 0.347
H -2.4938 -1.3748 -1.9438 0.348
H -2.5190 -2.6284 -0.6914 0.312
H -3.8547 0.0013 0.1190 0.349
H -3.4693 1.7521 1.6189 0.414
H -0.4009 2.4612 3.1064 0.284
H 0.6422 0.6269 1.9381 0.269
H 0.2790 -1.1567 0.4117 0.561
C 3.7760 0.2209 -1.6212 -0.972
C 2.5541 -0.3402 -0.9007 -0.591
H 4.6960 -0.2739 -1.2664 0.275
H 3.8172 0.0328 -2.6939 0.283
H 4.0149 1.2564 -1.3869 0.289
H 1.7326 -0.5011 -1.5867 0.259
H 2.7123 -1.2575 -0.3332 0.342
H 2.1911 0.4066 -0.2047 0.133
```

----------

{
  "formula": "C43H56GeNO3P2S6Ti",
  "method": "wB97M-V/def2-TZVPD",
  "multiplicity": 2,
  "e_lumo_ev": [-6.209, -7.460],
  "s_squared": 0.77,
  "e_above_lowest_kcal_mol": 30.9,
  "homo_energy_ha": [-0.449, -0.449],
  "total_charge": 2,
  "gap_ev": [6.00, 4.75],
  "elements": ["Ti", "C", "C", "C", "C", "O", "Ge", "O", "C", "C", "C", "C", "O", "C", "C", "C", "C", "H", "H", "H", "H", "H", "H", "H", "H", "H", "H", "H", "H", "H", "H", "H", "H", "H", "H", "H", "H", "H", "H", "H", "H", "H", "H", "H", "S", "C", "S", "C", "C", "S", "S", "S", "C", "S", "C", "C", "C", "N", "P", "C", "C", "C", "C", "C", "C", "C", "C", "C", "C", "C", "C", "P", "C", "C", "C", "C", "C", "C", "C", "C", "C", "C", "C", "C", "H", "H", "H", "H", "H", "H", "H", "H", "H", "H", "H", "H", "H", "H", "H", "H", "H", "H", "H", "H", "H", "H", "H", "H", "H", "H", "H", "H", "H"],
- - -
The Crimine ('ndrangheta), the apex superstructure of the Calabrian criminal organization, meets periodically in the province of Reggio Calabria.
The list of locales and companies
In the province of Reggio Calabria, there are 33 locales and five companies, distributed in many of the municipalities of the province. Among the best-known locals are those in Antoniminina, Ardore, Bova, Canolo, Catona, Caulonia, Cassari di Nardodipace, Ciminà, Cirella di Platì, Cinquefrondi, Fabrizia, Gioia Tauro, Gioiosa Jonica, Grotteria, Laureana di Borrello, Motticella, Natile di Careri, Oppido Mamertina, Palizzi, Palmi, Piscopio in Vibo Valentia, and Platì. There are also five companies located in Melito Porto Salvo, Polistena, Reggio Calabria, Rosarno, and Siderno.
In summary, the province of Reggio Calabria is an area particularly affected by the presence of 'ndrangheta, with a vast territorial division and a multitude of locales and companies representing the division of the criminal organization. The discovery of new structures such as "La Corona" and the meeting of the Crimine ('ndrangheta) in the territory demonstrate the importance of the area for the Calabrian organization.